Facts Matter: In CARD Act Report Press Release, CFPB Seemingly Ignores Basic Risk-Based Pricing Principles

WASHINGTON, D.C. – CBA releases final ‘Facts Matter’ blog post in series to counter misinformation by CFPB press office.
This is the final installment of the Consumer Bankers Association’s (CBA) “Facts Matter” series, which highlights the stark contrast between what the Consumer Financial Protection Bureau (CFPB) says in its press releases and what its research actually conveys.
Prior blog posts in this series have focused on data from the CFPB’s October Consumer Credit Card Market Report (CARD Act Report), explaining in more plain language terms what the numbers actually mean. In doing so:
- We found, contrary to the CFPB’s statements about a “lack of competition,” the CFPB’s actual data on marketing spend, balance transfers, and innovation shows the credit card market is vibrantly competitive.
- We rebutted the CFPB’s misleading assertions about growth in late fees by showing late fees have generally remained steady in proportion to card balances over the years – and that annual fees have actually shifted away from low-credit consumers to high-credit consumers.
- We showed the CFPB’s data on “persistent debt” were almost exactly opposite from the CFPB’s statements to the press. In fact, consumers are making greater progress paying down their credit card debt than in recent years (and banks are at least partially responsible for this healthy shift in consumer behavior).
This final feature necessarily takes a less data-driven approach and is instead more qualitative because the particular CFPB assertion we’re addressing here is uniquely puzzling.
Below, we have reprinted the primary and secondary headlines from the CFPB’s press release for the CARD Act Report.
The subheading of the CFPB’s press release, outlined in orange, says: “Consumers with revolving debts on average pay far more in interest and fees than get back in rewards.”
It’s difficult to understand why the CFPB believes it is newsworthy to clarify that it costs money to borrow.
Consider two consumers: Alex and Bryce.
Alex charges $500 on her credit card and pays back her balance, in full, before the end of the month. Alex pays only $500 that month.
Bryce charges $500 on her credit card. But at the end of the month, Bryce only pays a minimum payment of $35. Bryce then has a remaining balance and will incur additional interest on what she owes. For consumers like Bryce, paying only a small fraction of her total charge is an important value, because it provides liquidity for emergency expenditures or smooths her finances across paychecks. But it also costs Bryce money to borrow that $500. That’s due to the bank’s cost of providing the money; the risk of non-repayment; and a range of other factors.
Simply put, it costs money to borrow money. After ten years of studying the credit card market and publishing five prior CARD Act Reports, it is perplexing that the CFPB deemed this finding headline-worthy.
We have struggled with ways to address the CFPB’s headline here without seeming patronizing.
While the CFPB is not a safety and soundness regulator (unlike the Federal Reserve, FDIC, OCC), we believe the nation’s primary regulator of consumer financial products and services surely understands that if consumers could net positive by borrowing money, the safety and soundness of each and every financial institution would be jeopardized. If you do this at scale (who wouldn’t love to borrow money for free!) financial stability for the country as a whole would be at risk.
Accordingly, we are left with several questions:
We have questions about how the CFPB views banks, as businesses.
We have questions about the seriousness with the CFPB appreciates the complexity of risk management within individual institutions and across the financial system.
And finally, we also have a range of operational and governance questions about the extent to which the CFPB’s statements to the public are vetted by its experts, lawyers, or otherwise reviewed.
Nevertheless, we conclude this blog series where we began: Facts matter when policymakers write regulations.
And, regardless of what the CFPB’s press releases and speeches may represent, banks and credit card issuers continue to provide services broadly and equitably, as evidenced by the data – the facts – in the CARD Act Report.
-- Here the article breaks off for crystal structures --
********
This entry pairs a crystal structure of Tb2Nd3Sm6 with its computed powder X-ray diffraction pattern. Radiation: Cu Kα. Structure: the PBE geometry in Alexandria.
Peak positions follow from Bragg's law for the DFT cell and can differ from measured ones.

The 8 most intense peaks (2θ = 10–90°), in order of rising 2θ:
2theta, d/Å, intensity
30.16, 2.963, 100
34.97, 2.566, 51
50.29, 1.814, 36
59.77, 1.547, 43
62.72, 1.481, 12
73.87, 1.283, 6
81.81, 1.177, 17
84.42, 1.147, 16

Crystal structure
Lattice parameters (Å, degrees): 3.6289 3.6289 97.7618 90.00 90.00 120.00
Space group R-3m (No. 166, hexagonal axes)
One atom of each set of equivalent atoms:
1 Tb 0.0000 0.0000 0.0450 [6 per cell]
2 Nd 0.0000 0.0000 0.2278 [6 per cell]
3 Nd 0.0000 0.0000 0.5000 [3 per cell]
4 Sm 0.0000 0.0000 0.1361 [6 per cell]
5 Sm 0.0000 0.0000 0.3181 [6 per cell]
6 Sm 0.0000 0.0000 0.4082 [6 per cell]

This entry pairs a crystal structure of La2Sm3Al with its computed powder X-ray diffraction pattern. Radiation: Cu Kα. Structure: the PBE geometry in Alexandria.
Peak positions follow from Bragg's law for the DFT cell and can differ from measured ones.

The 10 most intense peaks (2θ = 10–90°), in order of rising 2θ:
2theta, d/Å, intensity
25.17, 3.538, 13
29.49, 3.029, 31
29.64, 3.014, 18
31.98, 2.798, 100
32.30, 2.772, 29
44.41, 2.040, 12
46.61, 1.948, 15
56.75, 1.622, 15
57.40, 1.605, 19
57.85, 1.594, 16

Crystal structure
Lattice parameters (Å, degrees): 5.543 18.082 3.845 90.00 90.00 90.00
Space group Pmmn (No. 59, origin choice 2)
One atom of each set of equivalent atoms:
1 La 0.250 0.069 0.001 [4 per cell]
2 Sm 0.250 0.250 0.502 [2 per cell]
3 Sm 0.250 0.615 0.499 [4 per cell]
4 Al 0.250 0.750 0.998 [2 per cell]

This entry pairs a crystal structure of Li2ScTeO with its computed powder X-ray diffraction pattern. Radiation: Cu Kα. Structure: the PBE geometry in Alexandria.
Peak positions follow from Bragg's law for the DFT cell and can differ from measured ones.

The 10 most intense peaks (2θ = 10–90°), in order of rising 2θ:
2theta, d/Å, intensity
18.81, 4.718, 100
24.71, 3.603, 41
26.72, 3.336, 57
32.08, 2.790, 22
37.45, 2.401, 34
38.15, 2.359, 27
42.23, 2.140, 32
42.86, 2.110, 24
50.68, 1.801, 23
54.53, 1.683, 23

Crystal structure
Lattice parameters (Å, degrees): 4.718 4.718 5.579 90.00 90.00 90.00
Space group P4/mmm (No. 123)
One atom of each set of equivalent atoms:
1 Li 0.000 0.500 0.000 [2 per cell]
2 Sc 0.000 0.000 0.500 [1 per cell]
3 Te 0.000 0.000 0.000 [1 per cell]
4 O 0.500 0.500 0.500 [1 per cell]
********
-- So much for the crystal structures --
Read the previous three Facts Matter blog posts in this series: